=====
148
Properties=species:S:1:pos:R:3:forces:R:3 method="wB97M-V/def2-TZVPD" orbital_gap_ha=0.388 lumo_energy_ha=0.0017 e_homo_ha=-0.386 e_above_lowest_ev=0.5670 smiles="FC(F)C(F)(F)COC(F)(F)C(F)F.C[C@H]1COC(=O)O1.C[C@H]1COC(=O)O1.C[C@H]1COC(=O)O1.C[C@H]1COC(=O)O1.C[C@H]1COC(=O)O1.C[C@H]1COC(=O)O1.C[C@H]1COC(=O)O1.C[C@H]1COC(=O)O1.C[C@H]1COC(=O)O1.C[C@H]1COC(=O)O1"
F 2.69481 2.40904 -5.40948 -0.1528 0.3027 -0.0347
C 2.47639 2.73102 -4.11978 1.5408 -0.5709 0.6357
F 1.78808 1.70920 -3.56897 -0.4910 0.5269 0.0457
C 3.85529 2.81704 -3.39748 0.2272 0.1836 -0.8330
F 3.73129 3.52367 -2.22473 -0.3340 -0.7273 -0.0917
F 4.60017 3.66201 -4.17755 0.0928 -0.3970 -0.1105
C 4.60907 1.50006 -3.12497 0.8216 0.4627 0.9429
O 4.25059 0.38746 -3.92851 0.1344 0.3659 -0.2085
C 5.18577 -0.63099 -3.96258 -1.4433 1.0954 -0.1336
F 6.39840 -0.18607 -4.32174 0.0847 -0.2947 0.2180
F 5.24302 -1.16585 -2.72071 0.6325 -0.3663 -0.1658
C 4.59653 -1.63097 -4.96384 0.0264 -1.5793 0.9387
F 4.42761 -1.07177 -6.15438 0.0889 0.0850 -0.2236
F 5.39511 -2.73860 -5.06491 0.5115 0.5374 -0.2690
H 2.04683 3.73005 -4.01256 -0.7459 -0.3186 -0.1444
H 4.51892 1.30788 -2.05311 -0.5772 -0.3383 -0.0379
H 5.67790 1.69851 -3.22341 -0.0465 0.2986 -0.3695
H 3.68585 -2.06804 -4.54993 -0.4634 0.6828 -0.1846
C 0.97040 -6.67669 2.69837 0.8568 0.5305 -0.0311
C 1.35602 -6.16509 1.30677 -0.9905 -1.7726 0.6145
C 0.24713 -5.43558 0.56539 -0.2331 -0.3555 0.5557
O 0.83641 -4.17087 0.23163 0.0544 -0.1340 -0.6997
C 2.07487 -4.10094 0.74388 -0.3989 0.8123 2.0533
O 2.70723 -3.09083 0.89602 -0.0554 -0.0216 -1.1145
O 2.40944 -5.22912 1.36927 0.6247 -0.4382 -0.3179
H 0.22637 -7.46832 2.63315 -0.2477 0.2291 -0.0647
H 0.66321 -5.85801 3.34764 -0.3147 -0.1232 0.0031
H 1.85963 -7.13270 3.13904 0.0011 0.0105 0.0226
H 1.61664 -7.09034 0.78573 0.6494 0.4566 -0.4883
H -0.59352 -5.27364 1.23986 0.0203 0.2175 -0.0406
H -0.11346 -6.00543 -0.28735 0.1461 0.4704 -0.3569
C -3.75719 4.04845 -2.57257 0.2364 -1.7819 0.4253
C -3.72451 2.63849 -3.16724 0.0009 -0.1500 -0.5412
C -2.63792 2.34733 -4.20900 -0.0489 0.4601 0.6135
O -2.11219 1.06153 -3.87088 -0.6853 -0.3509 1.2698
C -2.65475 0.69085 -2.64948 -0.0845 0.3507 -1.9011
O -2.55565 -0.38959 -2.16427 0.7002 -0.4303 0.3617
O -3.39944 1.66845 -2.16547 -0.5549 0.3128 0.9969
H -4.71015 4.08439 -2.04675 -0.0897 0.8182 -0.2263
H -3.57706 4.78016 -3.35338 -0.3390 0.2702 0.1510
H -2.98013 4.06197 -1.80537 0.1883 0.3613 -0.1635
H -4.71155 2.36892 -3.54961 -0.0205 -0.0256 -0.0067
H -1.86999 3.10361 -4.03677 0.2818 -0.1191 -0.6474
H -3.06115 2.29877 -5.20732 0.3808 0.2093 -0.1546
C -0.56187 -1.34411 0.59751 2.0947 0.8044 0.4453
C 0.23559 -0.03929 0.69327 -1.1412 1.9298 -0.6440
C 1.54290 0.12501 -0.08298 0.4769 -3.0204 0.5632
O 1.44854 1.27217 -0.86451 0.1178 0.9158 -0.8213
C 0.18149 1.69644 -0.91844 -0.9386 -1.3191 2.1922
O -0.27181 2.63627 -1.48597 0.3026 -0.1641 -0.7714
O -0.56940 0.91200 -0.06629 -0.0808 1.1351 -0.9276
H -1.60207 -1.13704 0.82703 -0.0272 -0.1584 0.0837
H -0.04383 -1.99704 1.30377 -0.5743 -0.5141 -0.0770
H -0.41310 -1.69518 -0.42234 -0.3965 -0.3249 0.0503
H 0.28425 0.43116 1.68082 0.1206 -0.5735 0.1902
H 1.59822 -0.80120 -0.67508 0.2407 0.4352 -0.6016
H 2.46397 0.11603 0.49246 -0.1955 0.4600 0.2383
C 4.77254 4.83160 2.18519 0.3604 1.3409 1.2974
C 3.35153 4.35215 2.22767 -0.3252 -1.8257 -1.2440
C 3.03361 3.34208 1.10878 0.4832 0.5727 -0.9335
O 2.30292 2.30558 1.73004 -0.9136 -0.3508 0.6080
C 2.29017 2.46977 3.08965 1.4694 1.1204 -1.8796
O 1.70963 1.78014 3.85324 -0.2351 -0.3047 0.4057
O 3.09051 3.52841 3.36262 -0.4354 -0.0386 1.7622
H 4.95532 5.45038 1.30695 -0.0301 -0.2122 -0.1535
H 5.56853 4.10335 2.33209 -0.4931 -0.6573 -0.6076
H 4.96079 5.48479 3.04665 -0.3045 0.2501 -0.1260
H 2.55896 5.10075 2.15938 0.4454 0.5426 0.4522
H 3.93806 2.96909 0.62534 0.0118 -0.3349 0.2804
H 2.42735 3.78999 0.31923 -0.0044 -0.2096 0.0889
C -1.31055 -0.29490 4.74125 -0.5643 -0.0920 0.6619
C -2.17411 -1.55140 4.79535 -0.4304 0.3021 0.9799
=====

Now quote everything above exactly.

148
Properties=species:S:1:pos:R:3:forces:R:3 method="wB97M-V/def2-TZVPD" orbital_gap_ha=0.388 lumo_energy_ha=0.0017 e_homo_ha=-0.386 e_above_lowest_ev=0.5670 smiles="FC(F)C(F)(F)COC(F)(F)C(F)F.C[C@H]1COC(=O)O1.C[C@H]1COC(=O)O1.C[C@H]1COC(=O)O1.C[C@H]1COC(=O)O1.C[C@H]1COC(=O)O1.C[C@H]1COC(=O)O1.C[C@H]1COC(=O)O1.C[C@H]1COC(=O)O1.C[C@H]1COC(=O)O1.C[C@H]1COC(=O)O1"
F 2.69481 2.40904 -5.40948 -0.1528 0.3027 -0.0347
C 2.47639 2.73102 -4.11978 1.5408 -0.5709 0.6357
F 1.78808 1.70920 -3.56897 -0.4910 0.5269 0.0457
C 3.85529 2.81704 -3.39748 0.2272 0.1836 -0.8330
F 3.73129 3.52367 -2.22473 -0.3340 -0.7273 -0.0917
F 4.60017 3.66201 -4.17755 0.0928 -0.3970 -0.1105
C 4.60907 1.50006 -3.12497 0.8216 0.4627 0.9429
O 4.25059 0.38746 -3.92851 0.1344 0.3659 -0.2085
C 5.18577 -0.63099 -3.96258 -1.4433 1.0954 -0.1336
F 6.39840 -0.18607 -4.32174 0.0847 -0.2947 0.2180
F 5.24302 -1.16585 -2.72071 0.6325 -0.3663 -0.1658
C 4.59653 -1.63097 -4.96384 0.0264 -1.5793 0.9387
F 4.42761 -1.07177 -6.15438 0.0889 0.0850 -0.2236
F 5.39511 -2.73860 -5.06491 0.5115 0.5374 -0.2690
H 2.04683 3.73005 -4.01256 -0.7459 -0.3186 -0.1444
H 4.51892 1.30788 -2.05311 -0.5772 -0.3383 -0.0379
H 5.67790 1.69851 -3.22341 -0.0465 0.2986 -0.3695
H 3.68585 -2.06804 -4.54993 -0.4634 0.6828 -0.1846
C 0.97040 -6.67669 2.69837 0.8568 0.5305 -0.0311
C 1.35602 -6.16509 1.30677 -0.9905 -1.7726 0.6145
C 0.24713 -5.43558 0.56539 -0.2331 -0.3555 0.5557
O 0.83641 -4.17087 0.23163 0.0544 -0.1340 -0.6997
C 2.07487 -4.10094 0.74388 -0.3989 0.8123 2.0533
O 2.70723 -3.09083 0.89602 -0.0554 -0.0216 -1.1145
O 2.40944 -5.22912 1.36927 0.6247 -0.4382 -0.3179
H 0.22637 -7.46832 2.63315 -0.2477 0.2291 -0.0647
H 0.66321 -5.85801 3.34764 -0.3147 -0.1232 0.0031
H 1.85963 -7.13270 3.13904 0.0011 0.0105 0.0226
H 1.61664 -7.09034 0.78573 0.6494 0.4566 -0.4883
H -0.59352 -5.27364 1.23986 0.0203 0.2175 -0.0406
H -0.11346 -6.00543 -0.28735 0.1461 0.4704 -0.3569
C -3.75719 4.04845 -2.57257 0.2364 -1.7819 0.4253
C -3.72451 2.63849 -3.16724 0.0009 -0.1500 -0.5412
C -2.63792 2.34733 -4.20900 -0.0489 0.4601 0.6135
O -2.11219 1.06153 -3.87088 -0.6853 -0.3509 1.2698
C -2.65475 0.69085 -2.64948 -0.0845 0.3507 -1.9011
O -2.55565 -0.38959 -2.16427 0.7002 -0.4303 0.3617
O -3.39944 1.66845 -2.16547 -0.5549 0.3128 0.9969
H -4.71015 4.08439 -2.04675 -0.0897 0.8182 -0.2263
H -3.57706 4.78016 -3.35338 -0.3390 0.2702 0.1510
H -2.98013 4.06197 -1.80537 0.1883 0.3613 -0.1635
H -4.71155 2.36892 -3.54961 -0.0205 -0.0256 -0.0067
H -1.86999 3.10361 -4.03677 0.2818 -0.1191 -0.6474
H -3.06115 2.29877 -5.20732 0.3808 0.2093 -0.1546
C -0.56187 -1.34411 0.59751 2.0947 0.8044 0.4453
C 0.23559 -0.03929 0.69327 -1.1412 1.9298 -0.6440
C 1.54290 0.12501 -0.08298 0.4769 -3.0204 0.5632
O 1.44854 1.27217 -0.86451 0.1178 0.9158 -0.8213
C 0.18149 1.69644 -0.91844 -0.9386 -1.3191 2.1922
O -0.27181 2.63627 -1.48597 0.3026 -0.1641 -0.7714
O -0.56940 0.91200 -0.06629 -0.0808 1.1351 -0.9276
H -1.60207 -1.13704 0.82703 -0.0272 -0.1584 0.0837
H -0.04383 -1.99704 1.30377 -0.5743 -0.5141 -0.0770
H -0.41310 -1.69518 -0.42234 -0.3965 -0.3249 0.0503
H 0.28425 0.43116 1.68082 0.1206 -0.5735 0.1902
H 1.59822 -0.80120 -0.67508 0.2407 0.4352 -0.6016
H 2.46397 0.11603 0.49246 -0.1955 0.4600 0.2383
C 4.77254 4.83160 2.18519 0.3604 1.3409 1.2974
C 3.35153 4.35215 2.22767 -0.3252 -1.8257 -1.2440
C 3.03361 3.34208 1.10878 0.4832 0.5727 -0.9335
O 2.30292 2.30558 1.73004 -0.9136 -0.3508 0.6080
C 2.29017 2.46977 3.08965 1.4694 1.1204 -1.8796
O 1.70963 1.78014 3.85324 -0.2351 -0.3047 0.4057
O 3.09051 3.52841 3.36262 -0.4354 -0.0386 1.7622
H 4.95532 5.45038 1.30695 -0.0301 -0.2122 -0.1535
H 5.56853 4.10335 2.33209 -0.4931 -0.6573 -0.6076
H 4.96079 5.48479 3.04665 -0.3045 0.2501 -0.1260
H 2.55896 5.10075 2.15938 0.4454 0.5426 0.4522
H 3.93806 2.96909 0.62534 0.0118 -0.3349 0.2804
H 2.42735 3.78999 0.31923 -0.0044 -0.2096 0.0889
C -1.31055 -0.29490 4.74125 -0.5643 -0.0920 0.6619
C -2.17411 -1.55140 4.79535 -0.4304 0.3021 0.9799